Manatee Protection Zones
What are Manatee Protection Rules?

Manatee protection rules are rules that are established by FWC to restrict the speed and operation of vessels where necessary to protect manatees from harmful collisions with vessels and from harassment. In areas that are especially important to manatees, the rules can prohibit or limit entry into an area as well as restrict what activities can be performed in the area. FWC is authorized to adopt these rules by the Manatee Sanctuary Act, 379.2431(2), Florida Statutes (FS). The rules appear in Chapter 68C-22 of the Florida Administrative Code (FAC). Click here for maps of these areas.
Local Government Ordinance
Local governments can also establish manatee protection zones through the adoption of a local ordinance. These zones must be approved by FWC before they can take effect, as required by 379.2431(2)(p),FS. Local manatee protection zones cannot include waters within the main marked channel of the Florida Intracoastal Waterway or waters within 100 feet thereof.
Rationale for Reducing Vessel Speeds
The rationale for reducing vessels speeds to reduce risks to manatees is discussed in a peer-reviewed paper FWC staff authored in 2007: Calleson, CS, and RK Frohlich. 2007. Slower boat speeds reduce risks to manatees. Endangered Species Research. Vol. 3, pp. 295-304.
How are Manatee Protection Rules Established?
Between two parts of the page: quantum chemistry results:
- - -
Here is a molecular structure, C18H31Cl2N4O3PdS in a non-equilibrium geometry from OMol25. Energies are from wB97M-V/def2-TZVPD.

Positions of all 60 atoms, in Å:
O (-0.6864, -1.7536, -1.9590)
C (-0.4343, -0.9577, -2.9987)
C (0.9191, -1.2895, -3.7056)
C (2.0972, -1.5284, -2.9989)
H (2.1121, -1.4469, -1.9021)
C (3.2733, -1.8595, -3.6988)
H (4.1886, -2.0670, -3.1407)
C (3.2718, -1.9334, -5.0960)
H (4.1752, -2.1985, -5.6448)
C (2.0924, -1.6588, -5.7977)
H (2.0603, -1.6898, -6.8867)
C (0.9244, -1.3430, -5.1027)
H (-0.0142, -1.1109, -5.6215)
H (-1.1907, -1.0400, -3.8570)
C (-1.9117, 1.1854, -2.5697)
C (-0.5014, 0.6620, -2.5937)
H (-2.0689, 1.8008, -3.4893)
H (-2.0883, 1.8705, -1.7067)
H (-2.6414, 0.3597, -2.5254)
C (0.5078, 1.4819, -3.0048)
C (0.4010, 2.9430, -3.2865)
H (1.5013, 1.0612, -3.1020)
H (0.7440, 3.0756, -4.3291)
H (1.0670, 3.5338, -2.6381)
H (-0.6194, 3.3465, -3.1931)
Pd (0.0126, 0.4051, 0.0012)
Cl (2.3286, 0.6583, -0.2388)
Cl (-0.3980, 2.6685, -0.0599)
C (0.8801, 1.8969, 2.6389)
O (0.1082, 0.9267, 2.4852)
N (0.8241, 2.7047, 3.7049)
C (-0.1671, 2.4786, 4.7436)
C (1.8050, 3.7499, 3.9372)
H (1.6544, 2.1512, 1.8966)
H (-0.8591, 1.7080, 4.3852)
H (-0.7011, 3.4191, 4.9397)
H (0.3374, 2.1440, 5.6626)
H (2.5013, 3.7818, 3.0921)
H (2.3702, 3.5593, 4.8603)
H (1.3271, 4.7315, 4.0375)
H (-5.0990, 0.0424, 1.5785)
H (-5.3603, -2.5152, 0.6343)
C (-4.8250, 0.2037, 0.5262)
C (-4.8654, -2.1425, -0.2752)
N (-4.0889, -0.9392, 0.0102)
H (-4.2173, 1.1071, 0.4457)
C (-2.7524, -0.9307, 0.0039)
O (-2.1228, 0.1268, 0.3076)
H (-4.1839, -2.9048, -0.6645)
H (-2.2639, -1.8704, -0.2892)
H (-5.7502, 0.3169, -0.0451)
H (-5.6398, -1.9255, -1.0232)
N (2.5214, -1.6958, 2.3499)
C (1.1880, -1.7583, 2.3101)
N (0.5441, -1.9519, 3.4897)
S (0.3781, -1.8013, 0.8028)
H (3.0078, -1.8344, 3.2324)
H (3.0354, -1.4070, 1.5256)
H (-0.4626, -1.8143, 3.5122)
H (1.0191, -1.6648, 4.3450)

The multiplicity is 3. Its energy relative to the best compared isomer or geometry (same formula, charge and spin) is 0.0 kcal/mol. The expectation value of S² is 2.02. The calculation puts the largest force on an atom at 0.055 hartree/bohr. The net charge is -1. The energy comes out at -70632.6724 eV. As for the LUMO energy (spin up / spin down): 2.36 / 2.35 eV.

Just the Löwdin charges please, in e? Sure, here they are: O -0.319; C -0.471; C -0.185; C -0.056; H 0.052; C -0.095; H 0.090; C -0.133; H 0.081; C -0.121; H 0.083; C -0.064; H 0.102; H 0.118; C -0.137; C -0.294; H 0.078; H 0.010; H 0.069; C -0.180; C -0.129; H 0.082; H 0.076; H 0.063; H 0.058; Pd 0.430; Cl -0.098; Cl -0.011; C -0.384; O -0.136; N -0.192; C -0.045; C -0.056; H 0.060; H 0.086; H 0.089; H 0.085; H 0.093; H 0.083; H 0.086; H 0.090; H 0.084; C -0.043; C -0.049; N -0.183; H 0.091; C -0.289; O -0.191; H 0.093; H 0.098; H 0.082; H 0.085; N 0.088; C -0.892; N 0.073; S 0.641; H 0.104; H 0.058; H 0.097; H 0.096

Here is a molecular structure, C18H31GaN4O3PSSi in a non-equilibrium geometry from OMol25. Energies are from wB97M-V/def2-TZVPD.
- - -
End of the quantum chemistry results:

FWC's manatee protection rule making process is described in Rule 68C-22.001, FAC. The process is started when the FWC evaluates all available information and determines that a new or amended rule may be warranted.
Note: The initial step of identifying an area to be evaluated can be undertaken internally by FWC or can be done by someone outside of FWC by submitting a request. The December 2007 Manatee Management Plan describes the factors FWC considers when prioritizing areas to be reviewed.
Many different factors are considered when the need for a rule is evaluated. The most important factors are typically the amount and types of manatee use and boating use in the area in light of the available habitat and waterway characteristics (depth, visibility, width of the waterway, etc.).
Once FWC has decided that a new or amended rule may be needed, it must follow the rule making procedures required by the Administrative Procedures Act (Chapter 120, FS), the Manatee Sanctuary Act, and the Uniform Rules of Procedure related to rule making (28-103, FAC). These statutes and rules should be consulted for a detailed description of the process; however, the general process is as follows:
- As required by the Manatee Sanctuary Act, the first step is to notify the affected county government that FWC is considering new or amended zones. The county then has 60 days to form a Local Rule Review Committee (LRRC). The purpose of the LRRC is to review the preliminary rule proposal and submit a written report for consideration by the FWC before the FWC Commissioners decide the content of a formal rule proposal.
- FWC publishes a Notice of Rule Development (NORD) and mails the notice to everyone who has requested to be notified whenever FWC considers rule making for manatee protection purposes in the affected county. The purpose of this notice is to announce to the public that FWC is considering the need for a new or amended rule. Rule Development Workshops can also be held. The timing of this notice can vary. It can occur as early as 60 days after the county is notified (see above) to as late as a week before a Notice of Proposed Rule is published.
- The FWC submits a preliminary rule proposal and supporting data to the LRRC. The LRRC then has 60 days to review the proposal and submit its report to the FWC. The LRRC report may contain recommended changes to the proposal and if the majority opinion of the LRRC is not unanimous, the report must also contain a minority opinion.
Quantum chemistry results, as found in the file >
┌──
1.
The following is a DFT calculation (ωB97M-V/def2-TZVPD) of one molecule with the formula C3H8N2OS in a non-equilibrium geometry.

Geometry as ORCA input:
```
! RIJCOSX wB97M-V def2-TZVPD def2/J DEFGRID3
* xyz 0 1
C -0.275 0.124 0.997
C -0.829 -1.111 0.177
S -2.617 -1.437 0.604
N 1.100 0.278 0.697
C 1.585 0.804 -0.531
N 0.678 1.484 -1.340
O 2.748 0.898 -0.840
H -0.963 0.977 0.795
H -0.267 -0.046 2.149
H -0.119 -2.040 0.265
H -0.873 -0.765 -0.876
H -2.696 -2.613 0.004
H 1.866 0.032 1.243
H 1.055 1.810 -2.184
H -0.393 1.605 -1.160
*
```

Summary:
HOMO: -9.306 eV
Relative energy (zero: lowest compared OMol25 entry of this formula, charge and spin): 89.7 kJ/mol
Orbital gap: 10.04 eV
Structure (SMILES): NC(=O)NCCS

2.
The following is a DFT calculation (ωB97M-V/def2-TZVPD) of C28H36KN5O10 as an isolated structure.

Geometry as ORCA input:
```
! RIJCOSX wB97M-V def2-TZVPD def2/J DEFGRID3
* xyz -2 1
K 0.017 -1.624 -1.255
O -1.072 -2.978 2.298
C 0.020 -3.780 2.683
C 0.378 -4.744 1.570
N 0.958 -4.021 0.452
C 0.455 -4.500 -0.821
C -1.082 -4.262 -0.974
O -1.714 -5.046 -1.675
O -1.541 -3.244 -0.353
C 2.402 -3.896 0.529
C 3.036 -2.624 -0.097
O 4.266 -2.540 0.001
O 2.241 -1.788 -0.592
H -1.134 -3.004 1.314
H 0.899 -3.158 2.904
H -0.248 -4.315 3.603
H 1.039 -5.554 1.934
H -0.550 -5.217 1.238
H 0.992 -3.973 -1.618
H 0.623 -5.582 -0.981
H 2.687 -3.867 1.586
H 2.914 -4.776 0.100
N 2.018 2.014 1.101
C 3.037 1.596 2.062
C 3.245 0.083 2.123
N 1.954 -0.544 2.377
H 1.234 1.368 1.212
H 2.352 1.855 0.155
H 2.717 1.941 3.052
H 3.979 2.106 1.832
H 3.954 -0.159 2.926
H 3.676 -0.291 1.190
H 1.956 -1.204 3.138
H 1.602 -1.024 1.554
O -0.367 0.869 -1.416
C -0.209 1.275 -2.775
C -0.116 -0.024 -3.679
O 0.645 0.048 -4.639
O -0.888 -0.944 -3.327
C 1.066 2.097 -2.826
C 1.094 3.470 -2.993
C 2.294 4.175 -2.917
C 3.475 3.508 -2.663
C 3.456 2.127 -2.478
C 2.267 1.431 -2.561
C -1.451 1.973 -3.297
C -1.445 2.540 -4.570
C -2.585 3.137 -5.076
C -3.755 3.163 -4.326
C -3.775 2.571 -3.075
C -2.628 1.976 -2.561
H -0.577 1.632 -0.867
H 0.173 4.008 -3.180
H 2.292 5.251 -3.046
H 4.410 4.054 -2.597
H 4.368 1.586 -2.262
H 2.271 0.363 -2.393
H -0.541 2.485 -5.163
H -2.563 3.571 -6.069
H -4.651 3.619 -4.730
H -4.688 2.539 -2.496
H -2.672 1.452 -1.616
N -3.958 0.313 5.701
C -2.741 -0.113 5.218
O -2.201 -1.113 5.635
C -2.142 0.767 4.168
C -2.120 2.148 4.292
C -1.522 2.887 3.288
C -1.014 2.209 2.187
N -1.059 0.892 2.041
C -1.592 0.176 3.028
H -4.443 -0.358 6.276
H -4.514 0.917 5.119
H -2.530 2.629 5.173
H -1.440 3.964 3.348
H -0.532 2.767 1.391
H -1.575 -0.900 2.909
O -3.276 -1.253 -1.490
H -2.905 -2.034 -1.042
H -2.643 -1.102 -2.209
*
```

Summary:
HOMO: -3.065 eV
Relative energy (zero: lowest compared OMol25 entry of this formula, charge and spin): 216.9 kJ/mol
Orbital gap: 6.98 eV

3.
The following is a DFT calculation (ωB97M-V/def2-TZVPD) of an isolated ion of composition C4H6BrINS and charge +1 in a non-equilibrium geometry.

Geometry as ORCA input:
```
└──
- FWC staff then reviews the LRRC report and prepares a written response to the report as well as a rule proposal for consideration by the FWC Commissioners. (Staff frequently makes changes to the proposal between the preliminary stage and this stage, particularly if the LRRC or others recommend modifications.) The LRRC report, staff response to the report, and the rule proposal are then provided to the FWC Commissioners for consideration at a public meeting. This typically occurs at one of the regular FWC meetings that are held during the course of the year.
- If the FWC Commissioners decide rule making is needed, a Notice of Proposed Rule is published and mailed. Public comments are accepted for 21 days after the notice is published or through the date of the final public hearing, whichever is longer. (A typical comment period is open for several months or more.) At least one public hearing is usually held in the affected county. Any comments the FWC receives during this phase are evaluated to determine if any changes should be made to the proposed rule.
- The final public hearing is held by the FWC Commissioners, typically at one of the regular FWC meetings that are held during the course of the year. At the conclusion of the final public hearing, the FWC Commissioners decide whether to adopt the proposed rule (with or without changes).
- If changes are made, a Notice of Change is then published and disseminated.
- The final step in the rule making process is to file the rule for adoption with Florida's Department of State. Rules become effective 20 days after being adopted, but are not enforceable until signs are posted on the water to notify boaters of the regulations. If areas for which the FWC adopts regulations are also regulated by other governments and/or for other purposes besides manatee protection, the most restrictive regulation applies and is what is posted.
What kind of Permits are Available to Operate a Vessel in a Protected Area?
In some cases, permits are available to allow a person to operate a vessel at speeds greater than those allowed by a manatee protection rule or to enter an area where a rule prohibits or limits access. These permits, which are described in Rule 68C-22.003 of the Florida Administrative Code (F.A.C.), are available in some areas to people engaged in the activities described here:
- Research and Education
- Construction, Maintenance and Repair
- Commercial Fishing
- Professional Fishing Guide
- Waterfront Property Owners or Residents
- Vessel or Motor Manufacturers
- Boat Races